Is there enough land to satisfy the demands?
Background and programme for the two coming seminars at KSLA
Seminar No. 1: “The global need for food, fibre and fuel – is there enough land to satisfy the demands?”
Tuesday 27 September 2011; 09.30-16.00
Seminar No. 2: “The global need for food, fibre and fuel – how do we address constraints/opportunities to meet the demands?”
Tuesday 22 November, 2011; 09.30-16.00
In the last ten years or so, there has been a sharply increasing international focus on the need to produce more food, bio-energy and wood fibre. The reasons are many, more or less obvious, and interlinked in often complex ways – the growing global population, the increasing wealth and thereby changing consumption patterns of hundreds of millions of people in the BRIC and other similar countries, the related growth in demand for wood and fibre based products (paper, con-struction wood, furniture, hygiene products, etc.), the rapid urbanisation, the frequent crises in food production and prices hitting other hundreds of millions of people remaining poor, the climate change threats and need to reduce the use of fossil fuels and replace them with renewable bio-energy, etc.
With the globalisation of economies, industrial processing, and trade flows, these needs for increased production of food, fuel and wood, and the enormous array of issues related to them, have acquired international prominence of unprecedented nature. Virtually every UN-body, development bank, international policy and research institutes, global and local environmental and social NGOs, and others with programmes or mandates touching upon agriculture, forestry, environment and/or energy have launched programmes, held seminars and conferences, produced studies and reports, and/or got engaged in research and advocacy work.
Food, fibre and fuel
The production of the “three Fs” – food, fibre and (bio-)fuel – as they are popularly referred to (sometimes a fourth F, fodder, is added, referring to the production of animal protein), have one thing in common: they all rely upon photosynthesis, and therefore they all require land to grow on. The issue of if and where there is land, and particularly reasonably good and productive land, available for the required increases in the production of food, fibre and fuel has become one of the most hotly debated issues in recent years, as the global competition for such land increases almost exponentially. Naturally, there is awareness that the required production increases must be met through many approaches – increased productivity of land already under production and restora-tion of degraded lands, for example – but the focus is very much on identifying currently “under-utilised” land to put it under rational and often large-scale production. The “scramble for land”, as it has become known in journalistic language, is really on, and involves governments, big and small private investors, multi-national as well as national companies, entrepreneurs, farmers and communities, international bodies of different kinds, etc.
The issue of land acquisition
Not surprisingly, the issue of land acquisitions for increased production of food, fibre and fuel has also given rise to controversy. “Underutilised” land is rarely not utilised at all – there are people whose interests and rights must be protected, there are often interesting ecosystems and bio-diversity that will be negatively affected (cf. the conversion of forests to oil palm plantations in SE Asia), ownership and tenure situations are often vague, corrupt practices and/or politically and socially insensitive deals in the transfer of user rights are not uncommon in some countries, etc. “Land grabbing” is a term minted by environmental and social activists to describe the latter practices.
The increased production is needed
However, it is also an undeniable fact that the increased production is badly needed, there is a growing demand from people all over the world who are able and prepared to pay for the increased produce, and, equally obvious, there are enormous economic, social and environmental opportuni-ties for governments, people and enterprises to be gained if challenges and problems can be addressed. It is also important to accept that we are not talking about increased production of “unnecessary” luxury consumer goods for a wealthy western population, but of very basic necessi-ties (bulk food, paper, carbon-neutral fuel, etc.) at reasonable prices for the global population.
KSLA has touched upon the issue
The question of land availability for increased production of the three Fs has also engaged institutions, private enterprise, NGOs and research institutions in Sweden. KSLA has, for example touched upon the issue in several seminars and round-table discussions in recent years. Already in 2007, KSLA together with IVA, organised an international seminar on “Tilting forest industries from North to South”, which came to focus much on the land availability for forest raw material plantations. Likewise, the seminar organised with the Rights & Resources Initiative as late as in June this year, “Global trends – implications on the development and use of natural resources”, spent much on the issue of competition for land as a natural resource. In May 2011, KSLA organised an interesting round table talk about “Sustainable foreign investments in developing countries’ agriculture” which took up the case of Addax Bioenergy investments in Sierra Leone. In March 2010, there was a seminar on “Competition for our agricultural land” with a more Swedish perspective, and in August last year, the KSLA Bertebos Conference focussed on “Food security and the futures of farms – 2020 and toward 2050” where land availability and management was a recurrent theme in many presentations.
Other initiatives
The Swedish International Agricultural Network Initiative (SIANI) organised a seminar in November 2010 on “The 21st Century Land Rush: colonial style land-grabbing or a new development opportunity?”. SIANI is also planning a seminar in October this year on “Land investments and sustainable biofuel development: North-South Interdependencies”. Finally, in 2010, the Swedish FAO Committee came out with a publication on “Foreign Land Investments in Developing Countries – Contribution or Threat to Sustainable Development?”. Many other initiatives and plans could be mentioned.
The purpose of the two seminars
== Attached: calculated crystals ==
The following is a DFT calculation (GGA-PBE) of Na6Zr2Zn2Si3S3O24 after structural relaxation.

Results
formation energy from the elements: -100.69 eV/f.u.
MP2020-corrected energy: -275.68 eV per formula unit

a = 9.1534 Å, b = 9.1672 Å, c = 22.7947 Å
α = 89.51°, β = 89.85°, γ = 60.43°
Space group P1 (No. 1)
Unique sites:
Na 0.0000 0.0000 0.0000 (multiplicity 1)
Na 0.0023 0.6724 0.8365 (multiplicity 1)
Na 0.2718 0.3564 0.9934 (multiplicity 1)
Na 0.2913 0.9997 0.5110 (multiplicity 1)
Na 0.3166 0.6483 0.4236 (multiplicity 1)
Na 0.3236 0.6510 0.9112 (multiplicity 1)
Na 0.3413 0.2709 0.6667 (multiplicity 1)
Na 0.3566 0.3330 0.3359 (multiplicity 1)
Na 0.5953 0.3386 0.8278 (multiplicity 1)
Na 0.6164 0.6729 0.3459 (multiplicity 1)
Na 0.6326 0.0039 0.7421 (multiplicity 1)
Na 0.6396 0.0089 0.2491 (multiplicity 1)
Na 0.6521 0.3592 0.5022 (multiplicity 1)
Na 0.6678 0.6693 0.6633 (multiplicity 1)
Na 0.6708 0.2811 0.1656 (multiplicity 1)
Na 0.9507 0.6609 0.1587 (multiplicity 1)
Na 0.9736 0.3357 0.0752 (multiplicity 1)
Na 0.9812 0.3314 0.5802 (multiplicity 1)
Zr 0.3175 0.6405 0.0648 (multiplicity 1)
Zr 0.3297 0.6518 0.5696 (multiplicity 1)
Zr 0.6421 0.0001 0.9033 (multiplicity 1)
Zr 0.6485 0.0022 0.4073 (multiplicity 1)
Zr 0.9876 0.3141 0.2362 (multiplicity 1)
Zr 0.9982 0.3043 0.7314 (multiplicity 1)
Zn 0.3317 0.6382 0.7612 (multiplicity 1)
Zn 0.3376 0.6264 0.2687 (multiplicity 1)
Zn 0.6208 0.0005 0.6034 (multiplicity 1)
Zn 0.6456 0.0040 0.0960 (multiplicity 1)
Zn 0.9619 0.3518 0.4435 (multiplicity 1)
Zn 0.9705 0.3565 0.9399 (multiplicity 1)
Si 0.2741 0.3284 0.8398 (multiplicity 1)
Si 0.3192 0.9410 0.6724 (multiplicity 1)
Si 0.3218 0.3489 0.1721 (multiplicity 1)
Si 0.3387 0.2931 0.5042 (multiplicity 1)
Si 0.6176 0.3494 0.6727 (multiplicity 1)
Si 0.6533 0.6979 0.5063 (multiplicity 1)
Si 0.6616 0.2848 0.0051 (multiplicity 1)
Si 0.6888 0.3229 0.3389 (multiplicity 1)
Si 0.9331 0.7003 0.0082 (multiplicity 1)
S 0.0215 0.6589 0.6732 (multiplicity 1)
S 0.0316 0.9446 0.1729 (multiplicity 1)
S 0.2782 0.0230 0.3380 (multiplicity 1)
S 0.3576 0.9875 0.0060 (multiplicity 1)
S 0.6085 0.6595 0.1732 (multiplicity 1)
S 0.6898 0.6171 0.8378 (multiplicity 1)
S 0.9446 0.9869 0.5058 (multiplicity 1)
S 0.9834 0.6180 0.3356 (multiplicity 1)
S 0.9847 0.0275 0.8403 (multiplicity 1)
O 0.0021 0.1049 0.8935 (multiplicity 1)
O 0.0058 0.1220 0.1765 (multiplicity 1)
O 0.0074 0.4990 0.6763 (multiplicity 1)
O 0.0134 0.5096 0.3868 (multiplicity 1)
O 0.0963 0.6761 0.7280 (multiplicity 1)
O 0.1132 0.8338 0.5076 (multiplicity 1)
O 0.1211 0.8420 0.2240 (multiplicity 1)
O 0.1233 0.6958 0.0108 (multiplicity 1)
O 0.1251 0.8573 0.8328 (multiplicity 1)
O 0.1272 0.8740 0.1175 (multiplicity 1)
O 0.1302 0.6417 0.3278 (multiplicity 1)
O 0.1342 0.6291 0.6219 (multiplicity 1)
O 0.1382 0.3508 0.1768 (multiplicity 1)
O 0.1537 0.1376 0.6752 (multiplicity 1)
O 0.1631 0.3512 0.8983 (multiplicity 1)
O 0.1650 0.2920 0.4914 (multiplicity 1)
O 0.1794 0.3063 0.7815 (multiplicity 1)
The purpose of the current two seminars is to present and discuss a comprehensive overview of the current situation and thinking regarding global production of food, fibre and bio-fuel, and to focus on the issue of land availability for such production. The seminars are a joint initiative by four of KSLA’s Committees (see above). The seminars will be international in character, but also point at the relevance of these issues to the Swedish green sector, e.g. in the fields of development cooperation, trade, business opportunities, etc.
In the first seminar, focus is on presenting facts on demand, supply, production, and trends, where and how production is currently done and projections on what will happen in the next 20 years, for food, fibre and fuel, and on availability of, and competition for, land for this production.
In the second seminar, focus is on the technical, economic, social and environmental issues that must be addressed in order to achieve the required increase in production of food, fibre and fuel from limited land areas available. There will also be a session with cases of involvement of Swedish actors in various agricultural, forestry and bio-energy investments and programmes outside Sweden. Finally, there will be views from one of the countries in Africa with perceived reserves of land which might be utilised for the required increased production of food, wood and biofuel.
Björn Lundgren, Committé for International Forestry Issues
Photo: Stora Enso
Programme to Seminar No. 1: “ – is there enough land to satisfy the demands?”
Moderator of conferences: Mr. Lennart Båge, Ambassador and ex-President IFAD
09.00 Coffee and registration
09.30 Welcome and presentation of KSLA
Mr. Åke Barklund, Secretary General and Managing Director, KSLA
Introduction to the conferences – their purpose, scope, structure and goals
(What comes next are materials data, not part of the text)
/*
1.
A plane-wave DFT calculation with PBE was carried out for Co2Sn3Se3 after structural relaxation.

Lattice parameters (Å, degrees): 8.797 8.797 8.797 90.12 90.12 90.12
Fractional positions:
Co: 0.742 0.238 0.245
Co: 0.238 0.245 0.742
Co: 0.259 0.259 0.259
Co: 0.245 0.742 0.238
Co: 0.762 0.755 0.258
Co: 0.258 0.762 0.755
Co: 0.755 0.258 0.762
Co: 0.741 0.741 0.741
Se: 0.345 0.498 0.161
Se: 0.161 0.345 0.498
Se: 0.999 0.660 0.157
Se: 0.655 0.502 0.839
Se: 0.001 0.340 0.843
Se: 0.157 0.999 0.660
Se: 0.340 0.843 0.001
Se: 0.502 0.839 0.655
Se: 0.498 0.161 0.345
Se: 0.839 0.655 0.502
Se: 0.843 0.001 0.340
Se: 0.660 0.157 0.999
Sn: 0.326 0.156 0.999
Sn: 0.999 0.326 0.156
Sn: 0.172 0.658 0.500
Sn: 0.674 0.844 0.001
Sn: 0.658 0.500 0.172
Sn: 0.844 0.001 0.674
Sn: 0.500 0.828 0.342
Sn: 0.828 0.342 0.500
Sn: 0.342 0.500 0.828
Sn: 0.500 0.172 0.658
Sn: 0.001 0.674 0.844
Sn: 0.156 0.999 0.326

---

2.
A plane-wave DFT calculation with PBE was carried out for Ta11Co2Se8 after structural relaxation.

Lattice parameters (Å, degrees): 3.438 12.195 19.641 90.00 90.00 90.00
Fractional positions:
Se: 0.500 0.704 0.445
Se: 0.000 0.460 0.174
Se: 0.000 0.540 0.826
Se: 0.500 0.784 0.786
Se: 0.500 0.040 0.674
Se: 0.500 0.390 0.946
Se: 0.500 0.610 0.054
Se: 0.500 0.216 0.214
Se: 0.500 0.296 0.555
Se: 0.500 0.960 0.326
Se: 0.000 0.204 0.055
Se: 0.000 0.796 0.945
Se: 0.000 0.716 0.286
Se: 0.000 0.284 0.714
Se: 0.000 0.890 0.554
Se: 0.000 0.110 0.446
Ta: 0.000 0.439 0.616
Ta: 0.000 0.054 0.242
Ta: 0.500 0.180 0.947
Ta: 0.000 0.347 0.288
Ta: 0.000 0.680 0.553
Ta: 0.000 0.000 0.000
Ta: 0.500 0.820 0.053
Ta: 0.500 0.061 0.116
Ta: 0.500 0.174 0.353
Ta: 0.500 0.826 0.647
Ta: 0.000 0.326 0.853
Ta: 0.500 0.500 0.500
Ta: 0.500 0.554 0.258
Ta: 0.500 0.939 0.884
Ta: 0.000 0.674 0.147
Ta: 0.000 0.653 0.712
Ta: 0.000 0.946 0.758
Ta: 0.000 0.561 0.384
Ta: 0.500 0.847 0.212
Ta: 0.500 0.153 0.788
Ta: 0.500 0.446 0.742
Ta: 0.000 0.320 0.447
*/
Dr. Björn Lundgren, Chair KSLA Committee on International Forest Issues
09.50 Session 1: Global demand for food in the next 20 years
Presentation: No. 1: Dr. Stefan Wirsenius, associate Professor, Division of Physical Resource Theory, Chalmers University, Gothenburg
Presentation No. 2: Dr. Dominique van der Mensbrugghe, Team Leader of FAO’s Global Perspectives Studies team Director, Agriculture Development Economics Division, FAO, Rome
Presentation No. 3: Mr. Harald Svensson, Chief Economist, Swedish Board of Agriculture, Jonkoping
11.00 Session 2: Global demand for wood and fibre in the next 20 years
• Between two parts of the entry: calculated crystals:
~~~
(1)
Material: Zr2N2O
Method: DFT, GGA-PBE
State: relaxed

**ΔE_f**: -2.19 eV per atom
**Crystal system**: triclinic
**Total energy**: -9.7968 eV per atom

a = 8.8513 Å, b = 8.8713 Å, c = 8.8920 Å
α = 109.59°, β = 109.33°, γ = 109.33°
With the nearest neighbours (Å) after each atom.
Positions (direct):
Zr (0.0000, 0.0000, 0.0000)  3 N 2.14-2.23, 3 O 2.15-2.23
Zr (0.0011, 0.4903, 0.4973)  4 N 2.13-2.20, 2 O 2.31-2.36
Zr (0.0359, 0.7021, 0.2460)  4 N 2.13-2.27, 2 O 2.25-2.28
Zr (0.2146, 0.1787, 0.4640)  4 N 2.14-2.20, 2 O 2.29-2.31
Zr (0.2424, 0.4513, 0.2062)  5 N 2.16-2.24, 1 O 2.33
Zr (0.2611, 0.9617, 0.7163)  3 N 2.13-2.15, 3 O 2.25-2.26
Zr (0.2950, 0.7506, 0.9740)  4 N 2.13-2.30, 2 O 2.23-2.24
Zr (0.4713, 0.2223, 0.1877)  5 N 2.15-2.23, 1 O 2.35
Zr (0.4885, 0.9277, 0.4266)  4 N 2.13-2.24, 2 O 2.21-2.36
Zr (0.5030, 0.4274, 0.9353)  5 N 2.16-2.28, 1 O 2.25
Zr (0.5308, 0.7049, 0.7550)  4 N 2.14-2.26, 2 O 2.25-2.29
Zr (0.7136, 0.6685, 0.4680)  3 O 2.13-2.25, 3 N 2.17-2.18
Zr (0.7392, 0.4618, 0.7142)  5 N 2.15-2.24, 1 O 2.31
Zr (0.7433, 0.9648, 0.2193)  3 N 2.13-2.20, 3 O 2.18-2.25
Zr (0.7825, 0.2549, 0.9647)  5 N 2.16-2.31, 1 O 2.26
Zr (0.9550, 0.2120, 0.6814)  3 N 2.14-2.24, 3 O 2.15-2.23
N (0.0108, 0.4532, 0.2525)  4 Zr 2.13-2.22
N (0.0223, 0.2190, 0.9410)  4 Zr 2.14-2.31
N (0.2348, 0.6860, 0.1671)  4 Zr 2.13-2.24
N (0.2577, 0.2296, 0.2589)  4 Zr 2.14-2.23
N (0.2813, 0.7239, 0.7028)  4 Zr 2.14-2.30
N (0.2888, 0.9711, 0.4881)  4 Zr 2.13-2.27
N (0.4729, 0.4271, 0.6704)  4 Zr 2.14-2.28
N (0.4906, 0.4775, 0.1863)  4 Zr 2.17-2.22
N (0.5145, 0.6941, 0.9912)  4 Zr 2.13-2.21
N (0.5183, 0.1827, 0.9498)  4 Zr 2.13-2.26
N (0.5224, 0.0063, 0.2283)  4 Zr 2.13-2.22
N (0.7057, 0.1891, 0.6794)  4 Zr 2.14-2.24
N (0.7207, 0.4193, 0.4462)  4 Zr 2.15-2.22
N (0.7827, 0.5092, 0.9890)  4 Zr 2.15-2.21
N (0.7935, 0.7370, 0.7523)  4 Zr 2.17-2.26
N (0.9863, 0.2307, 0.4471)  4 Zr 2.14-2.24
O (0.0249, 0.4946, 0.7655)  4 Zr 2.15-2.31
O (0.2012, 0.9495, 0.9415)  4 Zr 2.15-2.35
O (0.2119, 0.1971, 0.7289)  4 Zr 2.23-2.31
O (0.4809, 0.7058, 0.4906)  4 Zr 2.21-2.33
O (0.7450, 0.0006, 0.9889)  4 Zr 2.18-2.29
O (0.7607, 0.9236, 0.4522)  4 Zr 2.19-2.36
O (0.9715, 0.9141, 0.2021)  4 Zr 2.23-2.29
O (0.9738, 0.7411, 0.4812)  4 Zr 2.13-2.36

(2)
Material: La3SbO7
Method: DFT, GGA-PBE
State: relaxed

**ΔE_f**: -3.37 eV per atom
**Crystal system**: orthorhombic
**Total energy**: -7.8043 eV per atom

a = 6.7845 Å, b = 6.7845 Å, c = 7.8325 Å
α = 90.00°, β = 90.00°, γ = 69.09°
With the nearest neighbours (Å) after each atom.
Positions (direct):
La (0.0000, 0.0000, 0.0000)  4 O 2.45
La (0.0000, 0.0000, 0.5000)  4 O 2.45
La (0.0660, 0.4770, 0.7500)  6 O 2.36-2.51
La (0.4770, 0.0660, 0.2500)  6 O 2.36-2.51
La (0.5230, 0.9340, 0.7500)  6 O 2.36-2.51
La (0.9340, 0.5230, 0.2500)  6 O 2.36-2.51
Sb (0.5000, 0.5000, 0.0000)  6 O 2.01-2.04
Sb (0.5000, 0.5000, 0.5000)  6 O 2.01-2.04
O (0.1076, 0.1539, 0.2500)  4 La 2.36-2.45
O (0.1539, 0.1076, 0.7500)  4 La 2.36-2.45
~~~
Presentation: Mr. Jan Wintzell, Director, Pöyry Sweden AB, Stockholm
11.30 Session 3: Global demand for bioenergy crops in the next 20 years
Presentation No. 1: Dr. Stefan Bringezu, Wuppertal Institute for Climate, Environment andEnergy,Germany
Presentation No. 2: Anders Dahlberg, handling officer, the Swedish Energy Agency
12.15 Lunch in Oscars Källare
13.00 Session 4: Availability of and competition for land to meet increased demands of food, fibre and fuel
Presentation: Prof. Sten Nilsson, CEO, Forest Sector Insights AB, ex-IIASA
14.00 Panel – discussion and questions
Panel made up of “international” speakers in sessions 2–5 plus one or two more:
- Dr. Stefan Wirsenius
- Dr. Dominique van der Mensbrugghe
- Mr. Jan Winzell
- Dr. Stefan Bringezau
- Prof. Sten Nilsson
- Mrs Annika Söder, UD
15.00 Coffee
15.15 Continued discussion and question session
15.45 Summary and round-up by moderator and KSLA organisers
16.00 Mingle in Oscars Källare
The seminars are joint undertakings by the four KSLA Committees on:
International Forestry Issues
International Agricultural Issues
Energy Issues
Sustainable Development
Photo: Veracel Company, FAO (FO-5153)